********
[1]
The following is a DFT calculation (ωB97M-V/def2-TZVPD) of C28H40AsCaClN5O5S2 as an isolated structure.

highest occupied orbital energy	-0.176	Eh
charge	-1
largest force on an atom	1.5	eV Å⁻¹

CARTESIAN COORDINATES (ANGSTROEM)
As  1.0619  -2.9354  -1.1621
Ca  0.4779  0.0422  0.1847
Cl  -2.6034  3.9648  3.6899
S  -1.5117  0.0069  -1.5682
S  -2.0511  -0.8060  2.7597
O  -1.2733  -1.1507  -0.6177
O  -2.3219  -0.3949  -2.6989
O  -0.1277  0.4525  -1.9639
O  -2.0939  1.0900  -0.7411
O  3.0053  4.2808  -4.6660
N  0.0690  2.3741  1.2500
N  0.8819  4.0996  -3.9260
N  -3.8262  -0.6020  0.7712
N  2.6305  0.8740  -1.5694
N  -3.3841  -2.7261  1.5185
C  1.0873  6.5332  -3.4795
C  -3.1389  -1.4053  1.6051
C  3.0345  0.6749  2.5459
C  0.6213  5.4431  -4.4313
C  -4.7307  -1.1873  -0.2067
C  2.3737  -0.2888  1.7591
C  2.4757  2.2800  -3.5124
C  3.0502  1.2921  -4.2915
C  -4.1389  -2.4530  -0.8063
C  0.1508  -3.8862  0.2952
C  -3.8704  -3.4289  0.3275
C  4.1146  0.4076  3.3826
C  -1.0014  2.5767  2.0176
C  0.8719  4.5510  1.8335
C  3.3992  0.0951  -3.6955
C  -0.9404  3.9868  -2.2546
C  2.1395  3.6253  -4.0975
C  -1.1784  3.7623  2.7116
C  3.9986  -1.8896  2.7481
C  -0.2414  4.7713  2.6261
C  0.9832  3.3405  1.1722
C  3.1664  -0.0680  -2.3398
C  2.2997  2.0246  -2.1559
C  2.4726  -4.2503  -1.4337
C  -0.0851  -3.4582  -2.6524
C  -0.2823  3.3412  -3.4565
C  2.9205  -1.5786  1.9213
C  4.6071  -0.8862  3.4887
H  3.0090  -4.0434  -2.3604
H  -0.4541  5.5121  -4.6031
H  3.2254  1.4680  -5.3457
H  2.0399  -5.2517  -1.4875
H  4.5728  1.2073  3.9566
H  -5.6772  -1.4255  0.2933
H  3.8449  -0.7080  -4.2668
H  3.4115  -0.9988  -1.8415
H  -3.1065  -4.1541  0.0367
H  -4.9315  -0.4301  -0.9620
H  0.9006  -4.1832  1.0286
H  -2.8431  -3.2564  2.1830
H  1.6478  5.2968  1.7332
H  -3.2190  -2.2121  -1.3315
H  -0.9917  3.2762  -4.2890
H  2.1586  6.4399  -3.3002
H  -0.5842  -3.2440  0.7789
H  1.8596  3.1286  0.5725
H  5.4466  -1.1081  4.1387
H  3.1831  -4.2060  -0.6086
H  -1.7295  1.7754  2.0770
H  1.1252  5.5544  -5.3927
H  -3.2901  0.2092  0.4593
H  2.6990  1.7129  2.5230
H  4.3604  -2.9107  2.8182
H  0.9009  7.5200  -3.9080
H  -0.3788  5.6948  3.1721
H  2.4944  -2.4178  1.3692
H  0.0045  2.3209  -3.2138
H  -0.3422  -4.7750  -0.1056
H  -4.7761  -3.9826  0.5933
H  -4.8336  -2.8988  -1.5206
H  1.8522  2.7878  -1.5309
H  -0.8909  -2.7393  -2.7927
H  0.5318  -3.4841  -3.5520
H  0.5676  6.4707  -2.5229
H  -0.4914  -4.4534  -2.4618
H  -1.3490  4.9742  -2.4883
H  -0.2231  4.1059  -1.4402
H  -1.7430  3.3528  -1.8846

***

[2]
The following is a DFT calculation (ωB97M-V/def2-TZVPD) of CH3O3Si as an isolated structure.

highest occupied orbital energy	-0.135	Eh
charge	-1
largest force on an atom	3.5	eV Å⁻¹

CARTESIAN COORDINATES (ANGSTROEM)
Si  -0.2171  -0.5978  0.0456
O  1.8113  -0.9691  0.7402
O  2.3669  0.6104  -0.9240
O  -0.8522  -1.6880  -0.8452
C  1.6382  -0.0451  -0.1632
H  -2.3383  1.0433  0.0181
H  -0.3622  -0.0811  1.3863
H  -2.0466  1.7275  -0.2579

***

[3]
The following is a DFT calculation (ωB97M-V/def2-TZVPD) of a single C3H4NPS molecule.

highest occupied orbital energy	-0.323	Eh
SMILES	Cc1npcs1
largest force on an atom	3.7	eV Å⁻¹

CARTESIAN COORDINATES (ANGSTROEM)
S  0.1716  -0.7741  -1.3500
P  -1.9640  1.1148  -0.5665
N  -0.5867  1.0620  0.4225
C  1.3104  -0.1535  1.1840
C  0.2772  0.1923  0.1898
C  -1.4468  -0.0722  -1.7217
H  -2.0928  -0.5167  -2.4979
H  1.4775  0.6973  1.7436
H  0.7146  -0.9158  1.7957
H  2.1391  -0.6341  0.8003

***

[4]
The following is a DFT calculation (ωB97M-V/def2-TZVPD) of a 2-piece molecular cluster, C2H8NS overall.

highest occupied orbital energy	-0.084	Eh
charge	-1
largest force on an atom	1.7	eV Å⁻¹

CARTESIAN COORDINATES (ANGSTROEM)
S  0.5502  -1.5485  0.8883
N  2.0343  0.0325  -1.9355
C  -0.2968  0.0549  0.7553
C  -1.8193  -0.0692  0.9646
H  -2.3110  0.8486  1.2975
H  0.0943  0.6880  1.5645
H  -0.1673  0.5949  -0.1803
H  -1.9931  -0.9006  1.6266
H  -2.2810  -0.3886  0.0212
H  2.1666  -0.5186  -1.1013
********
Next, duplicate only the lines above with the word "highest" in them.
highest occupied orbital energy	-0.176	Eh
highest occupied orbital energy	-0.135	Eh
highest occupied orbital energy	-0.323	Eh
highest occupied orbital energy	-0.084	Eh